-- begin --
Entry 1:
Below is C14H24ClO5P2PtS as an isolated structure, with properties calculated with ωB97M-V with the def2-TZVPD basis set.

Each line ends with the Löwdin charge.
Element x y z (Å)
Pt (0.07, 0.28, 0.41)  0.776
C (1.84, -2.75, 0.59)  -0.219
P (1.72, -1.16, -0.27)  0.723
C (1.72, -1.58, -2.04)  -0.224
C (3.29, -0.32, 0.05)  -0.361
C (4.49, -0.90, -0.33)  -0.070
C (5.70, -0.26, -0.09)  -0.043
C (5.71, 0.98, 0.54)  -0.043
C (4.52, 1.57, 0.93)  -0.070
C (3.30, 0.93, 0.69)  -0.360
P (1.74, 1.71, 1.19)  0.756
C (1.71, 3.34, 0.42)  -0.221
C (1.89, 2.01, 2.97)  -0.216
H (2.73, -3.28, 0.28)  0.059
H (0.96, -3.35, 0.36)  0.057
H (1.88, -2.56, 1.67)  0.041
H (2.59, -2.19, -2.29)  0.055
H (1.75, -0.66, -2.63)  0.058
H (0.81, -2.12, -2.28)  0.059
H (4.50, -1.87, -0.82)  0.109
H (6.63, -0.72, -0.39)  0.119
H (6.65, 1.48, 0.74)  0.119
H (4.54, 2.53, 1.42)  0.110
H (2.58, 3.93, 0.71)  0.056
H (0.80, 3.86, 0.72)  0.059
H (1.71, 3.23, -0.67)  0.059
H (2.80, 2.58, 3.18)  0.057
H (1.93, 1.05, 3.49)  0.039
H (1.03, 2.58, 3.31)  0.060
O (-3.93, 0.71, 0.72)  -0.279
Cl (-2.86, 0.66, -0.22)  0.689
O (-1.75, 1.53, 0.32)  -0.524
O (-2.28, -0.68, -0.25)  -0.418
O (-3.21, 1.11, -1.51)  -0.250
O (0.67, -1.08, 3.31)  -0.456
S (-0.50, -0.79, 2.46)  0.754
C (-1.50, -2.29, 2.26)  -0.266
C (-2.88, -1.96, 2.84)  -0.199
C (-2.66, -0.95, 3.96)  -0.196
C (-1.75, 0.13, 3.38)  -0.264
H (-0.95, -3.03, 2.84)  0.112
H (-1.52, -2.56, 1.21)  0.081
H (-3.36, -2.87, 3.20)  0.128
H (-3.51, -1.53, 2.06)  0.104
H (-2.18, -1.42, 4.82)  0.125
H (-3.60, -0.51, 4.30)  0.130
H (-1.22, 0.74, 4.10)  0.109
H (-2.28, 0.76, 2.66)  0.077

The calculation puts the frontier orbital gap (spin up / spin down) at 8.0 / 8.1 eV. The energy relative to the best compared isomer or geometry (same formula, charge and spin) comes out at 0.0 kJ/mol. Its spin multiplicity is 3. As for the charge: +1.

***

Entry 2:
Below is the molecule C3H5ClN2S at a distorted geometry, with properties calculated with ωB97M-V with the def2-TZVPD basis set.

Each line ends with the Löwdin charge.
Element x y z (Å)
C (-0.56, 1.47, -0.66)  -0.465
C (1.30, 0.04, -0.11)  -0.725
C (0.69, -1.31, -0.25)  -0.106
N (0.69, 1.18, -0.22)  -0.029
N (-1.60, -0.02, 1.24)  -0.384
S (-2.03, 0.99, 0.09)  0.914
-- stop --
Print every line further above that contains the word "an".
Below is C14H24ClO5P2PtS as an isolated structure, with properties calculated with ωB97M-V with the def2-TZVPD basis set.